# Exercise
Could you search the lines further down for the word "composition" and set down each line that has it?

# File
=====
Density functional theory data (ωB97M-V/def2-TZVPD) for 2 unconnected molecules or ions with the total composition C6H15NO in a non-equilibrium geometry.

```
23
Properties=species:S:1:pos:R:3:forces:R:3
C 0.529 2.511 -2.327 0.360 -0.830 -1.181
C 1.361 2.375 -1.091 1.290 1.436 1.986
C 1.307 1.071 -0.328 -0.761 2.121 1.009
C 0.971 1.101 0.985 -0.657 -1.988 -2.043
N 0.565 -0.082 1.623 0.490 -0.172 1.295
C 0.788 -1.406 1.057 0.215 0.542 -1.219
C -0.072 -2.443 1.747 -0.805 0.395 -0.640
H 0.827 3.420 -2.856 -0.756 0.303 0.293
H -0.516 2.414 -2.011 0.040 0.515 -0.513
H 0.698 1.748 -3.124 0.031 0.035 0.820
H 2.399 2.764 -1.134 -0.068 -0.773 -1.049
H 1.045 3.206 -0.401 -0.421 -0.811 -0.264
H 1.329 0.169 -0.898 0.370 -0.477 -0.100
H 0.676 1.992 1.523 0.496 0.172 -0.010
H 0.888 -0.117 2.581 -0.301 0.275 0.231
H 1.885 -1.702 1.141 -1.134 0.301 -0.607
H 0.430 -1.337 -0.027 0.858 -0.339 1.359
H 0.242 -2.678 2.765 -0.067 -0.230 -0.186
H -1.125 -2.138 1.717 0.189 0.457 0.534
H -0.142 -3.278 1.067 0.628 -0.936 0.281
O -4.862 -2.748 -0.974 0.277 0.343 0.494
H -3.929 -2.625 -0.750 -0.134 -0.168 -0.249
H -5.295 -2.219 -0.288 -0.139 -0.170 -0.244
```
=====

# Solution
Density functional theory data (ωB97M-V/def2-TZVPD) for 2 unconnected molecules or ions with the total composition C6H15NO in a non-equilibrium geometry.